My Head House, 2022
My Head House is a map of my mind; a fantastical imagining of childhood fantasies and dark corners which utilizes ‘archival scrap’ glass from past projects, as well as glass and antiquities found in the Delaware River, to challenge linear conceptualizations of time and draw attention to the cumulative nature of existence.
My Head House was (is) a loving confrontation of who I’ve been before and where I have come from in order to arrive here, now. My Head House is shadow work. The journey of this piece from inception to completion is an on-going healing meditation that enables me to love all of the parts of myself: parts and pieces I may have discarded before as ‘scrap’, unwanted, or not pretty.

Cosmic Canoes, 2023
Cosmic Canoes, as told by Archangel Jophiel, is the story of two lovers making their way through the multiverse. Two canoes navigate the grid(s) of space-time, encountering various obstacles and experiences (represented by various found objects and curio) to find that their wake has merged into one continuous flow. Anchored by love and grounded connection, the two lovers continue to flow through their earthly living experiences together and independently, simultaneously.
Initially created to counterbalance the mentally stimulating color of lavender, Cosmic Canoes calls in the power of the color Yellow - igniting the solar plexus and inviting an embodied approach to living. Just as two lovers navigate the waters of life in harmony, so too must our minds and bodies exist in alignment.

# Between two parts of the entry: records of molecules
- - -
(1)
C5H8ClO2P | the ωB97M-V functional and the def2-TZVPD basis

Summary:
Energy relative to the best compared isomer or geometry (same formula, charge and spin): 34.2 kcal/mol
Gap between HOMO and LUMO (alpha / beta): 6.49 / 6.39 eV
Expectation value of S²: 2.0286
Multiplicity: 3
DFT total energy: -31215.272 eV

```
17
Properties=species:S:1:pos:R:3:nbo_charge:R:1
C -1.52 1.54 -0.70 0.047
C -0.72 1.19 -1.52 -0.293
C -2.35 1.67 0.48 -0.695
C 0.49 -2.22 -0.31 -0.662
C 0.31 -1.23 0.83 0.035
O 2.66 1.84 0.61 -0.965
O 1.03 -0.31 1.17 -0.423
P 2.30 0.73 -0.25 1.474
Cl 3.86 -0.63 -0.38 -0.336
H -3.38 1.32 0.26 0.242
H -1.81 1.14 1.32 0.243
H -2.32 2.65 0.81 0.236
H 1.55 -2.12 -0.52 0.221
H 0.24 -3.23 -0.05 0.233
H -0.06 -1.88 -1.26 0.216
H -0.41 -1.37 1.57 0.208
H 0.12 0.90 -2.05 0.219
```

=====

(2)
C22H26N4O6V | the ωB97M-V functional and the def2-TZVPD basis

Summary:
Charge: +1
Gap between HOMO and LUMO (alpha / beta): 7.97 / 7.91 eV
Expectation value of S²: 2.0131
Multiplicity: 3
DFT total energy: -67166.356 eV

```
59
Properties=species:S:1:pos:R:3:nbo_charge:R:1
V 0.17 0.02 0.32 1.535
O -4.32 0.65 3.11 -0.681
C -4.30 -0.64 2.74 0.441
C -5.47 -1.38 2.97 -0.297
C -5.53 -2.71 2.60 -0.152
C -4.43 -3.35 2.01 -0.263
C -3.28 -2.62 1.79 -0.141
C -3.20 -1.27 2.14 -0.265
C -1.96 -0.53 1.87 0.577
O -1.00 -1.17 1.21 -0.712
N -1.83 0.71 2.23 -0.435
N -0.56 1.15 1.82 -0.332
C -0.03 2.14 2.43 0.190
C 1.35 2.50 2.20 -0.245
C 1.83 3.69 2.77 -0.131
C 3.17 4.01 2.69 -0.246
C 4.05 3.13 2.06 -0.150
C 3.60 1.94 1.51 -0.285
C 2.24 1.62 1.56 0.432
O 1.84 0.46 1.02 -0.723
H -3.44 1.04 2.91 0.507
H -6.31 -0.88 3.43 0.233
H -6.44 -3.27 2.79 0.222
H -4.48 -4.39 1.75 0.221
H -2.42 -3.08 1.34 0.227
H -0.62 2.66 3.18 0.213
H 1.14 4.34 3.28 0.218
H 3.54 4.93 3.13 0.228
H 5.10 3.37 2.01 0.223
H 4.28 1.25 1.04 0.226
C -2.80 2.71 -2.07 -0.419
N -2.61 1.33 -2.52 -0.359
C -3.57 0.85 -3.51 -0.417
C -1.77 0.54 -1.89 0.693
O -1.05 0.97 -0.96 -0.667
C -1.73 -0.94 -2.26 -0.152
O -0.74 -1.64 -1.54 -0.511
C 0.32 -2.20 -2.29 -0.158
C 1.52 -1.26 -2.20 0.671
O 1.37 -0.21 -1.55 -0.669
N 2.66 -1.58 -2.80 -0.373
C 2.84 -2.76 -3.63 -0.412
C 3.82 -0.69 -2.71 -0.421
H -2.92 3.35 -2.94 0.218
H -3.69 2.78 -1.44 0.220
H -1.93 3.03 -1.49 0.246
H -3.73 1.65 -4.24 0.229
H -3.19 -0.01 -4.05 0.213
H -4.52 0.60 -3.04 0.221
H -2.70 -1.37 -2.01 0.235
H -1.58 -1.05 -3.34 0.208
H 0.55 -3.17 -1.86 0.233
H 0.04 -2.36 -3.33 0.208
H 1.99 -3.44 -3.54 0.212
H 2.95 -2.48 -4.68 0.216
H 3.73 -3.29 -3.31 0.224
H 3.58 0.14 -2.05 0.250
H 4.67 -1.25 -2.31 0.215
H 4.08 -0.31 -3.70 0.212
```

=====

(3)
Cl2H4Si3 | the ωB97M-V functional and the def2-TZVPD basis

Summary:
Energy relative to the best compared isomer or geometry (same formula, charge and spin): 11.3 kcal/mol
Gap between HOMO and LUMO: 6.87 eV
DFT total energy: -48742.392 eV

```
9
Properties=species:S:1:pos:R:3:nbo_charge:R:1
Si 1.79 -0.03 0.89 0.517
Si -1.75 -0.13 -0.56 0.525
Si -0.22 1.07 0.79 0.303
Cl 2.28 0.83 -0.97 -0.374
Cl -3.76 0.02 -0.02 -0.385
- - -

The Cloud, 2021
The Cloud: A cohort of creatures born of a forever- emergent collective experience.
Although originally these cicadas were treated as individual pieces of work, It felt as if the cicadas revealed to me that they were meant to be created in community and come into arrangement alongside one another before their release into the world.
In the midst of an unfolding collective pandemic experience, it was It was powerful to honor the collective experience of witnessing the BroodX cicadas emerge from their hibernation.
I wonder, what other collective experiences are unfolding and how can we choose to be unified as opposed to divided throughout these collective experiences?

Spirit Ladder, 2022
Spirit Ladder is a transcendental mapping of spiritual growth: an ethereal interpretation of the Chutes and Ladders of life. A channel of expansion and upward ascension (denoted by antique salt dishes which speak to the flavor of life and purity of the soul) is situated amongst a bustling grid of multi-directional pathways. Holes, curves, foreign and natural objects intersect rigid gridlines, inviting perpetual motion without clear direction. However ‘direction-less’ these ‘alternate’ pathways may be, they are beautiful.
A key element of my own spiritual and artistic growth has been letting go of fear. Although I had known for some time that it was important for me to incorporate found objects in my work, I cultivated a fear of actualizing this artistic calling. The Fear of ‘messing up’, thereby dishonoring the life of said found objects, accompanied by the hard work and extra attention to detail required in order to skillfully solder irregular shapes and items into panels, kept me from trying for years.
Spirit Ladder is the first piece in which I incorporate found objects and antiquities - putting into motion my artistic liberation, and irrevocably shaping all of my work moving forward. Spirit Ladder is very much an energetic embodiment of letting go of fear and surrendering to the journey of life and living, while finding beauty on whichever rung of life one may find themself.

The House of your Inner Child, 2023
They’re still with us, friends! Reminding us to play, and make our own rules. They’ve built a home inside each of us….what do you think it looks like? ✨
This piece features a colorized glass slide, archival ‘scrap’ glass, copper wiring rescued from the garbage, and two plastic beads

Left-Handed Listening, 2022
Who are you listening to?
Who are you tuning out?
When I sat down to solder this piece, a zillion terrible thoughts flooded my mind. I took a few moments to journal - pencil sounds and big letters always calm me down- and all of a sudden I found myself writing left handed (I am right -hand dominant).
Using my left hand demanded focus and patience...and It required I let go of the zillion thoughts flowing into my mind.
And so, this piece was soldered left handed, as a practice of presence. No muscle memory to carry me forward, each movement was brand new.